### Request
It remains to duplicate the lines underneath from the one with "-2.150 0.849" to the one with "C16H7AuCl5N3" without additions.

### Entries
=====
Entry 1:
Molecular formula: C16H6F5ISSn
Method: DFT, ωB97M-V/def2-TZVPD

Output
Maximum force   0.3 eV Å⁻¹
E_LUMO   -0.0402 Ha
Gap between HOMO and LUMO   7.12 eV
Net charge   0
E   -55042.7383 eV

Last column: natural (NBO) charge in e.
Atoms and positions in Å:
1 Sn -1.866 -0.176 -2.542  1.00
2 I -4.722 -0.008 -0.866  0.20
3 C -3.571 0.724 0.710  -0.15
4 C -4.282 1.066 1.828  -0.24
5 C -3.637 1.567 2.970  -0.21
6 C -2.283 1.702 2.954  -0.16
7 C -1.528 1.350 1.811  -0.09
8 C -0.121 1.506 1.870  -0.15
9 C 0.652 1.180 0.804  -0.22
10 C 0.035 0.686 -0.362  -0.20
11 C -1.321 0.507 -0.505  -0.51
12 C -2.150 0.849 0.629  -0.02
13 H -5.357 0.947 1.834  0.23
14 H -4.217 1.834 3.843  0.22
15 H -1.756 2.080 3.822  0.21
16 H 0.317 1.889 2.784  0.21
17 H 1.728 1.295 0.834  0.22
18 H 0.689 0.448 -1.184  0.21
19 F 5.082 -1.943 -0.289  -0.28
20 C 3.971 -1.787 -1.006  0.27
21 C 3.728 -0.591 -1.660  0.30
22 F 4.608 0.407 -1.571  -0.29
23 C 2.568 -0.441 -2.399  0.31
24 F 2.361 0.733 -2.998  -0.30
25 C 1.623 -1.457 -2.509  -0.29
26 S 0.181 -1.278 -3.511  -0.29
27 C 1.896 -2.644 -1.839  0.33
28 F 1.035 -3.660 -1.890  -0.29
29 C 3.052 -2.817 -1.097  0.27
30 F 3.285 -3.968 -0.465  -0.28


Entry 2:
Molecular formula: C16H7AuCl5N3
Method: DFT, ωB97M-V/def2-TZVPD

Output
Maximum force   1.0 eV Å⁻¹
E_LUMO   -0.0330 Ha
Gap between HOMO and LUMO   7.69 eV
Net charge   0
E   -87480.2277 eV

Last column: natural (NBO) charge in e.
Atoms and positions in Å:
1 Au -1.026 -0.373 -2.375  0.45
2 N 3.800 -2.029 6.874  -0.28
3 C 3.115 -1.835 5.976  0.26
4 C 2.264 -1.594 4.869  -0.18
5 C 2.753 -1.704 3.568  -0.12
6 C 1.919 -1.491 2.489  -0.25
7 C 0.573 -1.177 2.684  0.25
8 C 0.097 -1.042 3.989  -0.24
9 C 0.931 -1.243 5.069  -0.14
10 N -0.301 -1.035 1.590  -0.36
11 C -1.624 -0.661 1.634  -0.08
12 C -2.102 -0.738 0.366  -0.04
13 N -1.097 -1.143 -0.466  -0.53
14 C -0.038 -1.312 0.290  0.22
15 H 3.789 -1.959 3.413  0.24
16 H 2.324 -1.569 1.494  0.23
17 H -0.933 -0.786 4.173  0.22
18 H 0.554 -1.135 6.074  0.24
19 H -2.123 -0.355 2.527  0.23
20 H -3.089 -0.547 -0.001  0.24
21 H 0.904 -1.663 -0.082  0.22
22 Cl 1.695 0.984 -3.653  0.01
23 C 0.198 1.579 -4.265  -0.08
24 C -0.968 0.887 -3.943  -0.35
25 C -2.132 1.403 -4.510  -0.08
26 Cl -3.616 0.582 -4.211  0.02
27 C -2.162 2.553 -5.290  -0.10
28 Cl -3.643 3.161 -5.919  0.05
29 C -0.977 3.239 -5.538  -0.08
30 Cl -0.994 4.701 -6.435  0.06
31 C 0.219 2.735 -5.038  -0.10
32 Cl 1.690 3.568 -5.355  0.05


Entry 3:
Molecular formula: C16H7Cl2N2NbO6
Method: DFT, ωB97M-V/def2-TZVPD

Output
Maximum force   6.1 eV Å⁻¹
E_LUMO   -0.3672 Ha
Gap between HOMO and LUMO   5.22 eV
Net charge   +2
E   -58551.0115 eV

Last column: natural (NBO) charge in e.
Atoms and positions in Å:
1 Nb 12.771 8.505 6.959  2.49
2 O 18.152 5.468 6.489  -0.59
3 C 16.903 6.073 6.661  0.40
4 C 16.336 6.202 7.893  -0.21
5 C 15.095 6.891 7.984  0.15
6 N 14.470 7.355 6.838  -0.59
7 C 14.940 6.978 5.596  0.10
8 C 16.195 6.351 5.477  -0.15
9 C 14.211 7.578 4.547  0.72
10 O 14.358 7.360 3.352  -0.37
11 O 13.267 8.593 5.073  -0.70
12 C 14.414 7.355 9.176  0.72
13 O 14.698 7.038 10.318  -0.38
14 O 13.339 8.278 8.838  -0.71
15 H 18.455 5.070 7.340  0.52
16 H 16.852 5.841 8.779  0.29
17 H 16.720 6.094 4.556  0.31
18 Cl 9.007 11.589 6.569  0.15
19 C 8.886 9.902 6.965  0.00
20 C 7.668 9.207 7.089  -0.22
21 C 7.609 7.831 7.142  0.04
22 Cl 6.153 6.877 7.110  0.10
23 C 8.782 7.030 7.112  -0.12
24 C 8.844 5.616 7.224  0.01
25 C 10.054 4.972 7.105  -0.27
26 C 11.212 5.752 6.959  0.13
27 N 11.204 7.075 6.968  -0.56
28 C 9.988 7.754 7.027  0.13
29 C 10.034 9.142 7.020  0.25
30 O 11.292 9.753 6.984  -0.67
31 H 6.700 9.682 6.994  0.28
32 H 7.930 5.044 7.403  0.27
33 H 9.945 3.905 7.156  0.28
34 H 12.189 5.244 6.802  0.23


Entry 4:
Molecular formula: C16H8BrCl4N2O3RhS
Method: DFT, ωB97M-V/def2-TZVPD

Output
Maximum force   0.4 eV Å⁻¹
E_LUMO (spin up / spin down)   0.0832 / 0.0832 Ha
Multiplicity   2
=====

### Solution
12 C -2.150 0.849 0.629  -0.02
13 H -5.357 0.947 1.834  0.23
14 H -4.217 1.834 3.843  0.22
15 H -1.756 2.080 3.822  0.21
16 H 0.317 1.889 2.784  0.21
17 H 1.728 1.295 0.834  0.22
18 H 0.689 0.448 -1.184  0.21
19 F 5.082 -1.943 -0.289  -0.28
20 C 3.971 -1.787 -1.006  0.27
21 C 3.728 -0.591 -1.660  0.30
22 F 4.608 0.407 -1.571  -0.29
23 C 2.568 -0.441 -2.399  0.31
24 F 2.361 0.733 -2.998  -0.30
25 C 1.623 -1.457 -2.509  -0.29
26 S 0.181 -1.278 -3.511  -0.29
27 C 1.896 -2.644 -1.839  0.33
28 F 1.035 -3.660 -1.890  -0.29
29 C 3.052 -2.817 -1.097  0.27
30 F 3.285 -3.968 -0.465  -0.28


Entry 2:
Molecular formula: C16H7AuCl5N3